Job:
The reader should retype only the last part of the block further down, starting with the line that has "E_HOMO (spin".

Source:
┌──
10
Properties=species:S:1:pos:R:3:forces:R:3 method="wB97M-V/def2-TZVPD" charge=0 total_energy_ha=-284.30287 lumo_ev=0.93 smiles="CO/C=N/O" e_above_lowest_kcal_mol=103.22
C -1.94817 -0.58905 0.02966 -1.2 4.4 -3.1
O -1.12021 0.71958 -0.00113 -7.7 -2.1 -0.2
C 0.09529 0.63206 0.01157 8.3 -2.6 -1.0
N 0.83014 -0.43171 -0.19939 -1.0 0.1 1.1
O 2.20709 -0.11016 0.06932 0.7 -1.1 0.0
H -2.84829 -0.51604 -0.64291 1.7 0.2 -0.2
H -1.50790 -1.48646 0.05569 2.8 -2.9 -1.2
H -2.42588 -0.63667 0.89465 -1.8 0.9 4.5
H 0.69368 1.50778 0.05475 0.0 1.4 0.6
H 2.69969 -0.98015 0.24069 -1.7 1.7 -0.6


Record 1
# C5H12N2O

The ion C5H12N2O with charge +1 at a distorted geometry (the ωB97M-V functional and the def2-TZVPD basis, OMol25).

Last column: Löwdin spin population.
Element x y z (Å)
O 2.761 2.324 -1.295  0.001
C 2.306 1.223 -1.370  0.001
C 0.945 0.745 -1.073  0.002
C 0.387 0.880 0.339  0.005
C -0.999 0.434 0.665  0.052
C -2.222 -1.408 1.549  0.071
N -0.819 -0.855 1.512  0.704
N 1.069 -0.783 -1.436  0.044
H 2.969 0.496 -2.014  0.000
H 0.373 1.318 -1.788  0.000
H 0.969 0.514 1.239  0.001
H 0.585 2.020 0.454  0.002
H -1.631 0.297 -0.337  0.038
H -1.665 0.965 1.340  0.015
H -2.647 -1.169 0.623  0.021
H -2.722 -1.055 2.508  0.015
H -2.097 -2.412 1.728  0.001
H -0.173 -1.375 0.876  0.023
H 1.971 -1.079 -1.300  0.001
H 0.639 -1.082 -2.220  0.001

Atomic forces in eV per Å
O -0.69 0.53 1.03
C 3.40 0.30 -2.20
C -0.14 -4.63 0.12
C 1.98 4.03 1.53
C -0.28 -0.99 -0.32
C 1.62 0.85 4.06
N -3.17 1.01 -5.79
N -2.46 3.85 4.03
H -1.11 0.47 1.23
H -0.78 -0.22 -0.26
H 0.36 0.10 -1.60
H -1.02 -1.46 0.35
H 1.15 -0.46 2.16
H 0.32 1.13 -0.20
H -1.06 0.37 -0.89
H 0.23 0.12 -1.54
H -0.05 -2.54 0.03
H 0.69 -0.46 1.39
H 2.37 -0.96 0.01
H -1.37 -1.04 -3.13

Results
ΔE to the lowest compared entry with this formula, charge and spin = 92.8 kcal/mol
net charge = +1
multiplicity = 2
LUMO (spin up / spin down) = -2.92 / -8.85 eV
max |F| = 0.130 Eh/bohr
E_HOMO (spin up / spin down) = -13.4 / -13.4 eV

---

Record 2
# C4H7N3

The molecule C4H7N3 at a distorted geometry (the ωB97M-V functional and the def2-TZVPD basis, OMol25).

Last column: Löwdin charge in e.
Element x y z (Å)
H -2.066 -1.926 -0.012  0.042
N -1.437 -1.284 0.472  0.137
C -0.431 -1.006 -0.269  -0.525
N -0.219 -1.515 -1.506  0.119
C 0.589 -0.071 0.227  -0.110
C 0.360 1.530 -0.191  0.021
C 0.373 1.002 1.101  -0.468
N 0.369 1.349 2.316  0.171
H 0.201 2.356 2.392  0.059
H -0.706 -2.375 -1.728  0.101
H 0.728 -1.488 -1.868  0.099
H 1.604 -0.446 0.220  0.144
H -0.592 1.798 -0.624  0.112
H 1.227 2.076 -0.530  0.100

Atomic forces in eV per Å
H -0.04 -0.01 0.07
N 0.14 0.28 -0.24
C -1.18 -0.33 1.60
N 0.67 -0.62 -1.30
C 0.57 0.28 -1.74
C 0.56 -0.65 -1.85
C -0.73 1.51 4.31
N -0.15 -0.54 -0.15
H 0.18 -0.15 -0.11
H 0.07 0.24 0.04
H -0.28 0.09 0.06
H 0.20 0.10 -0.33
H -0.07 -0.29 -0.26
H 0.04 0.08 -0.10

Results
ΔE to the lowest compared entry with this formula, charge and spin = 47.7 kcal/mol
multiplicity = 1
LUMO = 0.75 eV
max |F| = 0.090 Eh/bohr
E_HOMO = -9.5 eV
SMILES = [H]/N=C(\N)[C@H]1C/C1=N\[H]

---

Record 3
# C4H6O2

The molecule C4H6O2 (the ωB97M-V functional and the def2-TZVPD basis, OMol25).

Last column: Löwdin charge in e.
Element x y z (Å)
O 2.428 -0.511 -0.237  0.077
C 1.668 0.111 0.460  -0.190
C 0.218 0.355 0.065  -0.312
C -0.380 -0.734 -0.829  -0.028
C -1.843 0.629 1.201  0.052
O -0.560 0.437 1.296  -0.160
H 1.990 0.570 1.418  0.138
H 0.182 1.352 -0.395  0.157
H 0.262 -1.614 -0.831  0.085
H -0.560 -0.395 -1.852  0.092
H -1.344 -1.032 -0.410  0.073
H -2.061 0.831 0.114  0.015

Atomic forces in eV per Å
O -0.30 0.29 0.35
C 0.18 -0.20 -0.26
C -0.02 -0.13 -0.27
C 0.05 -0.08 -0.04
C 0.22 0.41 0.27
O -0.36 0.00 0.04
H -0.09 -0.06 -0.11
H -0.01 -0.17 0.02
H 0.03 0.11 -0.17
H 0.21 -0.09 0.15
H 0.14 -0.01 -0.18
H -0.05 -0.08 0.20

Results
ΔE to the lowest compared entry with this formula, charge and spin = 97.2 kcal/mol
multiplicity = 1
LUMO = 0.18 eV
max |F| = 0.010 Eh/bohr
E_HOMO = -8.9 eV

---

Record 4
# C5H6O
└──

Here it is:
E_HOMO (spin up / spin down) = -13.4 / -13.4 eV

---

Record 2
# C4H7N3

The molecule C4H7N3 at a distorted geometry (the ωB97M-V functional and the def2-TZVPD basis, OMol25).

Last column: Löwdin charge in e.
Element x y z (Å)
H -2.066 -1.926 -0.012  0.042
N -1.437 -1.284 0.472  0.137
C -0.431 -1.006 -0.269  -0.525
N -0.219 -1.515 -1.506  0.119
C 0.589 -0.071 0.227  -0.110
C 0.360 1.530 -0.191  0.021
C 0.373 1.002 1.101  -0.468
N 0.369 1.349 2.316  0.171
H 0.201 2.356 2.392  0.059
H -0.706 -2.375 -1.728  0.101
H 0.728 -1.488 -1.868  0.099
H 1.604 -0.446 0.220  0.144
H -0.592 1.798 -0.624  0.112
H 1.227 2.076 -0.530  0.100

Atomic forces in eV per Å
H -0.04 -0.01 0.07
N 0.14 0.28 -0.24
C -1.18 -0.33 1.60
N 0.67 -0.62 -1.30
C 0.57 0.28 -1.74
C 0.56 -0.65 -1.85
C -0.73 1.51 4.31
N -0.15 -0.54 -0.15
H 0.18 -0.15 -0.11
H 0.07 0.24 0.04
H -0.28 0.09 0.06
H 0.20 0.10 -0.33
H -0.07 -0.29 -0.26
H 0.04 0.08 -0.10

Results
ΔE to the lowest compared entry with this formula, charge and spin = 47.7 kcal/mol
multiplicity = 1
LUMO = 0.75 eV
max |F| = 0.090 Eh/bohr
E_HOMO = -9.5 eV
SMILES = [H]/N=C(\N)[C@H]1C/C1=N\[H]

---

Record 3
# C4H6O2

The molecule C4H6O2 (the ωB97M-V functional and the def2-TZVPD basis, OMol25).

Last column: Löwdin charge in e.
Element x y z (Å)
O 2.428 -0.511 -0.237  0.077
C 1.668 0.111 0.460  -0.190
C 0.218 0.355 0.065  -0.312
C -0.380 -0.734 -0.829  -0.028
C -1.843 0.629 1.201  0.052
O -0.560 0.437 1.296  -0.160
H 1.990 0.570 1.418  0.138
H 0.182 1.352 -0.395  0.157
H 0.262 -1.614 -0.831  0.085
H -0.560 -0.395 -1.852  0.092
H -1.344 -1.032 -0.410  0.073
H -2.061 0.831 0.114  0.015

Atomic forces in eV per Å
O -0.30 0.29 0.35
C 0.18 -0.20 -0.26
C -0.02 -0.13 -0.27
C 0.05 -0.08 -0.04
C 0.22 0.41 0.27
O -0.36 0.00 0.04
H -0.09 -0.06 -0.11
H -0.01 -0.17 0.02
H 0.03 0.11 -0.17
H 0.21 -0.09 0.15
H 0.14 -0.01 -0.18
H -0.05 -0.08 0.20

Results
ΔE to the lowest compared entry with this formula, charge and spin = 97.2 kcal/mol
multiplicity = 1
LUMO = 0.18 eV
max |F| = 0.010 Eh/bohr
E_HOMO = -8.9 eV

---

Record 4
# C5H6O